_Listing_
## Cr3Se4 (PBE-GGA)

Data for Cr3Se4 after structural relaxation.

Its formation energy is -766.7 meV/atom. The crystal system is monoclinic.

The structure belongs to space group C2/m (No. 12); the cell edges are 13.340, 3.680 and 6.435 Å and the angles 90.00°, 117.19° and 90.00°. Symmetry generates all atoms from Cr at (0.000, 0.000, 0.000), Cr at (0.238, 0.500, 0.718), Se at (0.123, 0.000, 0.451) and Se at (0.134, 0.500, 0.977).

* * * * *

# 1
VASP calculation (PBE with a Hubbard U) on a geometry-optimized Sr2V2GaO7 structure.

Computed properties:
For the energy of formation, the calculation gives -2554 meV per atom.

a b c (Å): 11.809 11.809 11.809
angles (deg): 38.26 152.99 153.41
Fractional positions:
Sr (0.013, 0.147, 0.161)
Sr (0.013, 0.353, 0.366)
Sr (0.987, 0.647, 0.634)
Sr (0.987, 0.853, 0.839)
V (0.496, 0.566, 0.068)
V (0.496, 0.928, 0.430)
V (0.497, 0.066, 0.570)
V (0.497, 0.428, 0.932)
Ga (0.472, 0.799, 0.173)
Ga (0.626, 0.299, 0.827)
O (0.010, 0.647, 0.863)
O (0.024, 0.193, 0.693)
O (0.024, 0.831, 0.331)
O (0.451, 0.157, 0.639)
O (0.451, 0.312, 0.794)
O (0.498, 0.160, 0.189)
O (0.498, 0.809, 0.837)
O (0.500, 0.331, 0.307)
O (0.500, 0.693, 0.669)
O (0.518, 0.657, 0.206)
O (0.518, 0.812, 0.361)
O (0.784, 0.147, 0.137)
O (0.971, 0.309, 0.811)
O (0.971, 0.660, 0.163)


# 2
VASP calculation (PBE with a Hubbard U) on a geometry-optimized Li11V12Co4O32 structure.

Computed properties:
For the energy of formation, the calculation gives -2254 meV per atom.

a b c (Å): 8.331 8.331 8.417
angles (deg): 90.14 90.14 90.00
Fractional positions:
Li (0.000, 0.000, 0.000)
Li (0.008, 0.749, 0.244)
Li (0.251, 0.992, 0.756)
Li (0.258, 0.742, 0.500)
Li (0.367, 0.376, 0.127)
Li (0.505, 0.001, 0.507)
Li (0.624, 0.633, 0.873)
Li (0.744, 0.256, 0.500)
Li (0.754, 0.004, 0.245)
Li (0.996, 0.246, 0.755)
Li (0.999, 0.495, 0.493)
V (0.005, 0.500, 0.006)
V (0.255, 0.257, 0.496)
V (0.256, 0.008, 0.242)
V (0.263, 0.499, 0.761)
V (0.500, 0.995, 0.994)
V (0.501, 0.737, 0.239)
V (0.503, 0.248, 0.760)
V (0.743, 0.745, 0.504)
V (0.748, 0.252, 0.000)
V (0.752, 0.497, 0.240)
V (0.992, 0.744, 0.758)
V (0.997, 0.003, 0.500)
Co (0.006, 0.251, 0.245)
Co (0.253, 0.747, 0.000)
Co (0.502, 0.498, 0.500)
Co (0.749, 0.994, 0.755)
O (0.000, 0.488, 0.232)
O (0.011, 0.243, 0.482)
O (0.013, 0.013, 0.252)
O (0.019, 0.499, 0.770)
O (0.021, 0.736, 0.003)
O (0.233, 0.737, 0.766)
O (0.241, 0.244, 0.265)
O (0.242, 0.015, 0.496)
O (0.243, 0.485, 0.519)
O (0.243, 0.514, 0.991)
O (0.257, 0.258, 0.737)
O (0.263, 0.767, 0.234)
O (0.264, 0.979, 0.997)
O (0.482, 0.496, 0.744)
O (0.486, 0.757, 0.009)
O (0.487, 0.247, 0.518)
O (0.501, 0.981, 0.230)
O (0.504, 0.518, 0.256)
O (0.506, 0.236, 0.996)
O (0.512, 0.000, 0.768)
O (0.515, 0.757, 0.481)
O (0.741, 0.226, 0.754)
O (0.742, 0.013, 0.989)
O (0.742, 0.743, 0.263)
O (0.753, 0.513, 0.482)
O (0.756, 0.759, 0.735)
O (0.757, 0.989, 0.518)
O (0.764, 0.494, 0.004)
O (0.774, 0.259, 0.246)
O (0.985, 0.758, 0.504)
O (0.987, 0.258, 0.011)
O (0.987, 0.987, 0.748)


| no. | E_tot (eV/atom) |
| --- | --- |
| 1 | -6.804 |
| 2 | -6.794 |
_Wanted_
Retype only the last part of the notes further above, starting with the line that has "(0.764, 0.494,".
_Reply_
O (0.764, 0.494, 0.004)
O (0.774, 0.259, 0.246)
O (0.985, 0.758, 0.504)
O (0.987, 0.258, 0.011)
O (0.987, 0.987, 0.748)


| no. | E_tot (eV/atom) |
| --- | --- |
| 1 | -6.804 |
| 2 | -6.794 |